Source
********
First-principles (PBE-GGA) data for Sr2MnMo after structural relaxation, as listed in Alexandria.

Calculated total energy ... -4.74 eV/atom
Formation enthalpy at 0 K ... 1103 meV per atom
Polymorph energy (0 for the lowest one) ... 636 meV per atom

Unit cell a=3.1887 b=3.1887 c=10.2916 alpha=90.00 beta=90.00 gamma=90.00
Sites, in units of the cell vectors:
Sr  0.0000  0.0000  0.2404
Sr  0.0000  0.0000  0.7596
Mn  0.5000  0.5000  0.5000
Mo  0.5000  0.5000  0.0000

=====

First-principles (PBE-GGA) data for Nd2NpIn3Te6 after structural relaxation, as listed in Alexandria.

Calculated total energy ... -4.94 eV/atom

Unit cell a=7.8007 b=7.8007 c=8.5100 alpha=98.80 beta=98.80 gamma=120.00
Sites, in units of the cell vectors:
Nd  0.1665  0.8335  0.0000
Nd  0.8335  0.1665  0.0000
Np  0.5000  0.5000  0.0000
In  0.0000  0.0000  0.5000
In  0.3326  0.6674  0.5000
In  0.6674  0.3326  0.5000
Te  0.0957  0.4251  0.7752
Te  0.2459  0.2459  0.2260
Te  0.4251  0.0957  0.7752
Te  0.5749  0.9043  0.2248
Te  0.7541  0.7541  0.7740
Te  0.9043  0.5749  0.2248

=====

| no. | density of states at the Fermi level (states/eV per cell) |
| --- | --- |
| 1 | 4.8 |
| 2 | 6.7 |


Record 1
Entry from the Open Quantum Materials Database: a geometry-optimized Gd2HoMg3Al2Cd structure (PBE-GGA).

Results
Space-group type = Amm2

abc: 4.5572 7.4296 7.4296
angles: 119.90 90.00 90.00
Element x y z (fractional)
1 Gd 0.0000 0.2142 0.7858
2 Gd 0.0000 0.7858 0.2142
3 Ho 0.0000 0.3577 0.3577
4 Mg 0.5000 0.0319 0.0319
5 Mg 0.5000 0.5399 0.7857
6 Mg 0.5000 0.7857 0.5399
7 Al 0.5000 0.1195 0.4524
8 Al 0.5000 0.4524 0.1195
9 Cd 0.0000 0.7854 0.7854

***

Record 2
Entry from the Open Quantum Materials Database: a geometry-optimized GdHo2Mg3Al2Cd structure (PBE-GGA).

Results
Space-group type = Amm2

abc: 4.5431 7.4146 7.4146
angles: 120.09 90.00 90.00
Element x y z (fractional)
1 Gd 0.0000 0.0000 0.0000
2 Ho 0.0000 0.1433 0.5715
3 Ho 0.0000 0.5715 0.1433
4 Mg 0.5000 0.3257 0.3257
5 Mg 0.5000 0.5714 0.8175
6 Mg 0.5000 0.8175 0.5714
7 Al 0.5000 0.2385 0.9047
8 Al 0.5000 0.9047 0.2385
9 Cd 0.0000 0.5712 0.5712

***

Number 1: final energy -29.8 eV for the cell shown, calculated volume 218.1 Å³/cell. Number 2: final energy -29.7 eV for the cell shown, calculated volume 216.1 Å³/cell.


Material: Li7Mn2Co3O12
Method: DFT, GGA+U
State: relaxed

The structure in POSCAR format:
```
Li7Mn2Co3O12
1.0
7.625 -1.436 0.000
7.625 1.436 0.000
-6.645 0.000 9.664
Li Mn Co O
7 2 3 12
direct
0.000 0.000 0.000
0.001 0.001 0.245
0.010 0.010 0.767
0.330 0.330 0.243
0.350 0.350 0.772
0.648 0.648 0.236
0.678 0.678 0.763
0.007 0.007 0.508
0.665 0.665 0.002
0.334 0.334 0.501
0.350 0.350 0.010
0.668 0.668 0.499
0.159 0.159 0.607
0.167 0.167 0.389
0.168 0.168 0.117
0.172 0.172 0.894
0.492 0.492 0.126
0.510 0.510 0.398
0.510 0.510 0.620
0.516 0.516 0.885
0.820 0.820 0.605
0.823 0.823 0.114
0.833 0.833 0.883
0.854 0.854 0.400
```

Properties
The calculation puts the energy relative to the lowest polymorph listed for this composition at 0.0902 eV/atom. The value obtained for the total moment is 0.47 μB/cell.


# PBE CaTlSb4, optimized geometry
# Total energy ... -86.85 eV for the cell shown
# Size of the total moment ... 0.0 Bohr magnetons per cell
# DOS at the Fermi energy ... 16.347 states/eV/cell
data_CaTlSb4
_chemical_formula_sum 'Ca4 Tl4 Sb16'
_cell_length_a 9.0084
_cell_length_b 9.0084
_cell_length_c 9.0084
_cell_angle_alpha 90.00
_cell_angle_beta 90.00
_cell_angle_gamma 90.00
_space_group_name_H-M_alt 'F -4 3 m'
_space_group_IT_number 216
_space_group_name_Hall 'F -4 2 3'
loop_
_atom_site_label
_atom_site_type_symbol
_atom_site_fract_x
_atom_site_fract_y
_atom_site_fract_z
Ca1 Ca 0.0000 0.0000 0.0000
Tl1 Tl 0.2500 0.2500 0.2500
Sb1 Sb 0.1248 0.1248 0.6248
********
What to do
The reader should copy everything above without additions.
Worked solution
First-principles (PBE-GGA) data for Sr2MnMo after structural relaxation, as listed in Alexandria.

Calculated total energy ... -4.74 eV/atom
Formation enthalpy at 0 K ... 1103 meV per atom
Polymorph energy (0 for the lowest one) ... 636 meV per atom

Unit cell a=3.1887 b=3.1887 c=10.2916 alpha=90.00 beta=90.00 gamma=90.00
Sites, in units of the cell vectors:
Sr  0.0000  0.0000  0.2404
Sr  0.0000  0.0000  0.7596
Mn  0.5000  0.5000  0.5000
Mo  0.5000  0.5000  0.0000

=====

First-principles (PBE-GGA) data for Nd2NpIn3Te6 after structural relaxation, as listed in Alexandria.

Calculated total energy ... -4.94 eV/atom

Unit cell a=7.8007 b=7.8007 c=8.5100 alpha=98.80 beta=98.80 gamma=120.00
Sites, in units of the cell vectors:
Nd  0.1665  0.8335  0.0000
Nd  0.8335  0.1665  0.0000
Np  0.5000  0.5000  0.0000
In  0.0000  0.0000  0.5000
In  0.3326  0.6674  0.5000
In  0.6674  0.3326  0.5000
Te  0.0957  0.4251  0.7752
Te  0.2459  0.2459  0.2260
Te  0.4251  0.0957  0.7752
Te  0.5749  0.9043  0.2248
Te  0.7541  0.7541  0.7740
Te  0.9043  0.5749  0.2248

=====

| no. | density of states at the Fermi level (states/eV per cell) |
| --- | --- |
| 1 | 4.8 |
| 2 | 6.7 |


Record 1
Entry from the Open Quantum Materials Database: a geometry-optimized Gd2HoMg3Al2Cd structure (PBE-GGA).

Results
Space-group type = Amm2

abc: 4.5572 7.4296 7.4296
angles: 119.90 90.00 90.00
Element x y z (fractional)
1 Gd 0.0000 0.2142 0.7858
2 Gd 0.0000 0.7858 0.2142
3 Ho 0.0000 0.3577 0.3577
4 Mg 0.5000 0.0319 0.0319
5 Mg 0.5000 0.5399 0.7857
6 Mg 0.5000 0.7857 0.5399
7 Al 0.5000 0.1195 0.4524
8 Al 0.5000 0.4524 0.1195
9 Cd 0.0000 0.7854 0.7854

***

Record 2
Entry from the Open Quantum Materials Database: a geometry-optimized GdHo2Mg3Al2Cd structure (PBE-GGA).

Results
Space-group type = Amm2

abc: 4.5431 7.4146 7.4146
angles: 120.09 90.00 90.00
Element x y z (fractional)
1 Gd 0.0000 0.0000 0.0000
2 Ho 0.0000 0.1433 0.5715
3 Ho 0.0000 0.5715 0.1433
4 Mg 0.5000 0.3257 0.3257
5 Mg 0.5000 0.5714 0.8175
6 Mg 0.5000 0.8175 0.5714
7 Al 0.5000 0.2385 0.9047
8 Al 0.5000 0.9047 0.2385
9 Cd 0.0000 0.5712 0.5712

***

Number 1: final energy -29.8 eV for the cell shown, calculated volume 218.1 Å³/cell. Number 2: final energy -29.7 eV for the cell shown, calculated volume 216.1 Å³/cell.


Material: Li7Mn2Co3O12
Method: DFT, GGA+U
State: relaxed

The structure in POSCAR format:
```
Li7Mn2Co3O12
1.0
7.625 -1.436 0.000
7.625 1.436 0.000
-6.645 0.000 9.664
Li Mn Co O
7 2 3 12
direct
0.000 0.000 0.000
0.001 0.001 0.245
0.010 0.010 0.767
0.330 0.330 0.243
0.350 0.350 0.772
0.648 0.648 0.236
0.678 0.678 0.763
0.007 0.007 0.508
0.665 0.665 0.002
0.334 0.334 0.501
0.350 0.350 0.010
0.668 0.668 0.499
0.159 0.159 0.607
0.167 0.167 0.389
0.168 0.168 0.117
0.172 0.172 0.894
0.492 0.492 0.126
0.510 0.510 0.398
0.510 0.510 0.620
0.516 0.516 0.885
0.820 0.820 0.605
0.823 0.823 0.114
0.833 0.833 0.883
0.854 0.854 0.400
```

Properties
The calculation puts the energy relative to the lowest polymorph listed for this composition at 0.0902 eV/atom. The value obtained for the total moment is 0.47 μB/cell.


# PBE CaTlSb4, optimized geometry
# Total energy ... -86.85 eV for the cell shown
# Size of the total moment ... 0.0 Bohr magnetons per cell
# DOS at the Fermi energy ... 16.347 states/eV/cell
data_CaTlSb4
_chemical_formula_sum 'Ca4 Tl4 Sb16'
_cell_length_a 9.0084
_cell_length_b 9.0084
_cell_length_c 9.0084
_cell_angle_alpha 90.00
_cell_angle_beta 90.00
_cell_angle_gamma 90.00
_space_group_name_H-M_alt 'F -4 3 m'
_space_group_IT_number 216
_space_group_name_Hall 'F -4 2 3'
loop_
_atom_site_label
_atom_site_type_symbol
_atom_site_fract_x
_atom_site_fract_y
_atom_site_fract_z
Ca1 Ca 0.0000 0.0000 0.0000
Tl1 Tl 0.2500 0.2500 0.2500
Sb1 Sb 0.1248 0.1248 0.6248